2 Ways to Calculate Repeat Patterns

From Small Samples or Swatch Sizes
For small swatch sizes or samples that are fairly small, Mikey shows how to re-create the pattern in diagram format to show what is happening for the stitches. He needs to figure out the multiples so he can start off with the right chain size in the very beginning.
He is using the sample shown in the thumbnail from a written instruction. Before he made the sample, he created the diagram so he could understand the pattern better. It is one of Mikey's personal traits with crochet. He rarely crochets a project blindly without drawing a diagram first.
The pattern used is exactly as shown. It was a strip from an afghan. The stitch is so pretty though, what if the pattern were to be made bigger? The only way to do that is to figure out the multiples.
- With the diagram drawn, he looks for where the stitches begin to repeat each other.
____________
No. 1
A cluster of 4 separate species, C20H29F8NO10Si in total. Source: OMol25; level of theory: the ωB97M-V functional and the def2-TZVPD basis.

Geometry as XYZ:
```
69
Properties=species:S:1:pos:R:3:lowdin_charge:R:1
C 4.06 -3.48 1.90 -0.0258
C 4.29 -2.39 0.89 -0.4770
C 5.72 -1.95 0.74 -0.0466
N 3.33 -1.91 0.20 0.0131
Si 2.90 -0.23 0.29 0.5511
C 1.07 -0.04 0.02 -0.2617
C 0.18 -0.59 1.15 -0.2180
C -1.03 0.27 1.49 -0.2509
O -0.83 1.67 1.35 -0.0783
C 3.45 0.57 1.90 -0.2490
C 3.45 2.11 1.87 -0.2213
C 4.43 2.72 0.87 -0.0936
C 5.50 3.61 1.47 -0.4338
F 5.70 4.68 0.64 0.1002
F 5.18 4.12 2.68 0.1236
C 6.87 2.90 1.56 -0.4956
F 7.70 3.53 2.42 0.1584
F 7.45 2.87 0.33 0.1501
F 6.72 1.62 1.99 0.1428
H 3.00 -3.61 2.03 0.0514
H 4.53 -4.41 1.61 0.0832
H 4.47 -3.14 2.85 0.0878
H 5.85 -1.27 -0.10 0.0760
H 6.35 -2.82 0.62 0.0827
H 6.08 -1.44 1.63 0.0762
H 3.59 0.48 -0.82 0.0040
H 0.86 1.01 -0.21 0.0646
H 0.86 -0.59 -0.89 0.0732
H 0.77 -0.83 2.03 0.0892
H -0.21 -1.55 0.80 0.0955
H -1.90 -0.02 0.92 0.1024
H -1.30 0.08 2.53 0.1154
H -0.10 1.91 1.92 0.0739
H 2.74 0.27 2.67 0.0738
H 4.42 0.23 2.26 0.0628
H 2.44 2.43 1.60 0.0966
H 3.61 2.47 2.88 0.1081
H 4.93 1.96 0.28 0.0924
H 3.90 3.33 0.14 0.1313
C -3.79 1.42 -2.81 -0.0392
C -4.02 1.23 -1.33 -0.3046
O -3.97 -0.18 -1.19 0.1196
C -3.16 -0.65 -2.18 -0.5577
O -2.70 -1.74 -2.20 0.1728
O -2.96 0.30 -3.12 0.0840
F -5.25 1.67 -0.94 0.0695
H -4.72 1.36 -3.37 0.1215
H -3.29 2.36 -3.06 0.1468
H -3.25 1.68 -0.69 0.1685
C -8.91 3.39 -3.09 -0.0464
C -9.07 1.98 -3.60 -0.3116
O -8.08 1.91 -4.61 0.1367
C -7.09 2.79 -4.29 -0.5541
O -6.01 2.80 -4.77 0.1737
O -7.51 3.63 -3.32 0.0744
F -10.29 1.76 -4.15 0.0789
H -9.50 4.09 -3.68 0.1454
H -9.15 3.51 -2.04 0.1407
H -8.87 1.20 -2.86 0.1740
C -1.87 -4.63 0.64 -0.0416
C -0.80 -5.64 0.28 -0.3122
O 0.35 -5.09 0.91 0.1309
C -0.07 -4.36 1.97 -0.5635
O 0.63 -3.97 2.84 0.1702
O -1.40 -4.14 1.90 0.0657
F -0.59 -5.73 -1.05 0.0814
H -1.90 -3.81 -0.09 0.1367
H -2.86 -5.07 0.73 0.1397
H -0.97 -6.64 0.68 0.1718
```

Results
HOMO-LUMO gap = 8.6952 eV
SMILES = CC(C)=N[Si@@H](CCCO)CCCC(F)(F)C(F)(F)F.O=C1OC[C@@H](F)O1.O=C1OC[C@@H](F)O1.O=C1OC[C@@H](F)O1
charge = 0

No. 2
A structure of composition C20H29N3O2W. Source: OMol25; level of theory: the ωB97M-V functional and the def2-TZVPD basis.

Geometry as XYZ:
```
55
Properties=species:S:1:pos:R:3:lowdin_charge:R:1
W 1.17 -0.25 0.88 1.6507
N 1.72 -4.08 4.08 0.0276
C 1.44 -2.65 4.11 -0.1737
C 1.59 -1.78 2.85 -0.5887
O 2.24 -2.17 1.85 -0.0536
O 1.13 -0.56 2.85 -0.2074
H 2.28 -4.35 3.28 0.0632
H 0.84 -4.57 3.91 0.0779
H 2.20 -2.10 4.69 0.1372
H 0.52 -2.42 4.55 0.1062
C 2.48 -2.68 -1.51 -0.0432
C 2.59 -1.19 -1.71 -0.3609
C 2.91 -0.53 -2.86 -0.0767
C 2.94 0.84 -2.60 -0.0793
C 2.72 1.01 -1.29 -0.3988
C 2.68 2.25 -0.44 -0.0659
N 2.48 -0.24 -0.69 -0.1514
H 1.93 -3.07 -2.37 0.0700
H 1.88 -2.99 -0.64 0.0613
H 3.41 -3.14 -1.55 0.0517
H 2.94 -0.96 -3.84 0.1012
H 3.16 1.65 -3.27 0.1040
H 3.05 3.10 -0.98 0.0655
H 3.29 2.12 0.48 0.0827
H 1.63 2.53 -0.19 0.0478
____________
- He takes a copy of the diagram and creates an overlay to see the pattern bigger without having to redraw it bigger.
- He begins the counting process and verifies the counts.
Learn in the below tutorial the steps he took and how he calculated the multiples in order to change this swatch to be a full size afghan if he wished.
Now don't forget, though he calculated the multiples by the end of the tutorial, there is no magic formula for figuring out the yarn required when changing the sizes.

Figuring out the Multiples from Large Afghan Sizes
Mikey primarily uses this method the most in figuring out multiples. Most of the afghans he does usually are for adult sizes but many people request for the afghans to be smaller. The only way to change the sizing is to figure out the multiples so the pattern can repeat and you get the correct chain size from the start.
=====
1.
Molecular formula: C4H4ClNO
Method: DFT, wB97M-V/def2-TZVPD

Each line ends with the natural charge from an NBO analysis.
Element x y z (Å)
Cl1 -1.078 -2.143 -0.084  -0.086
C1 0.367 -1.232 -0.801  -0.353
C2 0.417 0.180 -0.230  -0.223
C3 0.240 0.587 1.089  -0.030
N1 0.314 1.916 1.259  -0.112
O1 0.514 2.406 -0.024  -0.268
C4 0.584 1.363 -0.850  0.162
H1 0.227 -1.269 -1.910  0.232
H2 1.267 -1.911 -0.647  0.236
H3 0.180 -0.004 2.025  0.233
H4 0.688 1.577 -1.913  0.210

The calculation puts the HOMO energy at -0.372 hartree. As for the spin multiplicity: 1. As for the LUMO energy: 0.742 eV. As for the SMILES: ClCc1cnoc1. As for the orbital gap: 10.9 eV.

2.
Molecular formula: C4H4ClNO2
Method: DFT, wB97M-V/def2-TZVPD

Each line ends with the natural charge from an NBO analysis.
Element x y z (Å)
C1 0.254 0.718 0.213  -0.042
C2 1.647 0.571 0.025  0.129
C3 2.270 -0.629 0.480  -0.117
C4 -0.050 -1.640 -0.379  0.347
N1 -0.501 -0.513 0.202  -0.602
O1 2.501 1.603 -0.212  -0.691
O2 -0.911 -2.605 0.042  -0.704
Cl1 3.810 -0.963 0.001  0.093
H1 -0.237 1.650 -0.122  0.202
H2 -1.420 -0.500 0.564  0.399
H3 2.187 2.499 -0.324  0.493
H4 -0.726 -3.368 -0.449  0.492

The calculation puts the HOMO energy at -0.288 hartree. As for the spin multiplicity: 1. As for the LUMO energy: -0.591 eV. As for the orbital gap: 7.3 eV.

3.
Molecular formula: C4H4ClNO2S
Method: DFT, wB97M-V/def2-TZVPD
=====
As you will see in the below video tutorial, he works backwards in reconstructing the diagram without having to draw an entire diagram for the project.
- Mikey starts by drawing the crochet symbols from the row that has the repeat pattern instructions in it. Some patterns, the 1st row could just be a standard single crochet, double crochet or something where all of the stitches are identical. It usually means the pattern's repeat could start in the next row.
- Mikey uses the instructions in the repeat pattern row to give an idea on what the end of the row will look like.
- Mikey then completes the next row after the first one to verify his findings.
- Mikey will then start to go backwards from the start of the 1st row and count the chains back.
- Once the diagram is complete, the stitch locations and counts should be correct. Use the diagram to begin looking at where the stitches repeat.
- Don't forget that there are usually extra chains in a repeat pattern that compensate for the turning chains.
As you will see in the video tutorial below, he shows these above steps in detail in figuring out the afghan that is in the picture.
Mary says
Thank you! thank you! This is a wonderful lesson.